Assignment >
Transcribe every line below that contains the word "this", please.

Listing >
~~~
Here is a relaxed SmGaAu crystal from OQMD via LeMat-Bulk. Energies are from PBE.

Cell lengths 4.8555, 4.8555, 4.8555 Å; angles 60.00, 60.00, 60.00 degrees
Last column: nearest neighbours and their distance in Å.
Positions (direct):
Sm (0.0000, 0.0000, 0.0000)  4 Au 2.97, 4 Ga 2.97
Ga (0.2500, 0.2500, 0.2500)  4 Sm 2.97
Au (0.7500, 0.7500, 0.7500)  4 Sm 2.97

Summary:
Final energy   -11.66 eV/cell


PaNi12As6: relaxed, PBE.

Summary:
V = 14.1 Å³/atom
DFT formation energy = -0.20 eV/atom
Density of states at the Fermi level = 11.8 states/eV/cell

abc: 6.679 6.679 6.679
angles: 103.43 103.43 103.43
Fractional positions:
Pa 0.000 0.000 0.000
Ni 0.874 0.126 0.500
Ni 0.878 0.637 0.637
Ni 0.637 0.637 0.878
Ni 0.363 0.122 0.363
Ni 0.363 0.363 0.122
Ni 0.122 0.363 0.363
Ni 0.126 0.500 0.874
Ni 0.500 0.874 0.126
Ni 0.126 0.874 0.500
Ni 0.874 0.500 0.126
Ni 0.500 0.126 0.874
Ni 0.637 0.878 0.637
As 0.672 0.247 0.247
As 0.247 0.247 0.672
As 0.247 0.672 0.247
As 0.753 0.753 0.328
As 0.328 0.753 0.753
As 0.753 0.328 0.753


# 1
The following is a PBE calculation of a geometry-optimized KSr3V structure, from Alexandria.

The structure in POSCAR format:
```
KSr3V
1.0
6.461 0.000 0.000
0.000 6.461 0.000
0.000 0.000 6.461
Sr V K
3 1 1
Direct
0.500 0.000 0.000
0.000 0.500 0.000
0.000 0.000 0.500
0.000 0.000 0.000
0.500 0.500 0.500
```

Summary:
For the density of states at the Fermi level, the calculation gives 3.59 states/eV/f.u. The formation energy is 0.517 eV/atom. As for the energy above the most stable polymorph in this dataset: 0 kJ/mol of formula units. The uncorrected energy is -0.1863 Ry per atom.



# 2
The following is a PBE calculation of a geometry-optimized Ba8Cd2Ga structure, from Alexandria.

The structure in POSCAR format:
```
Ba8Cd2Ga
1.0
6.061 0.000 0.000
0.000 8.382 0.107
-3.031 -3.462 10.055
Ba Ga Cd
8 1 2
Direct
0.970 0.197 0.940
0.408 0.568 0.817
0.205 0.313 0.411
0.795 0.687 0.589
0.337 0.037 0.674
0.030 0.803 0.060
0.663 0.963 0.326
0.592 0.432 0.183
0.500 0.000 0.000
0.817 0.292 0.633
0.183 0.708 0.367
```

Summary:
For the density of states at the Fermi level, the calculation gives 15.61 states/eV/f.u. The formation energy is -0.161 eV/atom. As for the energy above the most stable polymorph in this dataset: 0 kJ/mol of formula units. The uncorrected energy is -0.1471 Ry per atom.


Density functional theory data (PBE with a Hubbard U) for crystalline SrCaNiWO6 at its relaxed geometry.

Electronic total energy ... -66.71 eV per formula unit

CIF file:
```
data_SrCaNiWO6
_symmetry_space_group_name_H-M 'P 1 c 1'
_symmetry_Int_Tables_number 7
_symmetry_space_group_name_Hall 'P -2yc'
_cell_length_a 5.565
_cell_length_b 5.643
_cell_length_c 9.653
_cell_angle_alpha 90.00
_cell_angle_beta 125.12
_cell_angle_gamma 90.00
loop_
_atom_site_label
_atom_site_type_symbol
_atom_site_fract_x
_atom_site_fract_y
_atom_site_fract_z
Sr1 Sr 0.000 0.220 0.000
Ca1 Ca 0.520 0.297 0.504
Ni1 Ni 0.757 0.247 0.251
W1 W 0.256 0.250 0.750
O1 O 0.007 0.479 0.212
O2 O 0.102 0.234 0.510
O3 O 0.434 0.274 0.992
O4 O 0.494 0.033 0.295
O5 O 0.562 0.461 0.783
O6 O 0.931 0.052 0.708
```


Record 1
Below is a relaxed Ca2LaTa crystal, with properties calculated at the PBE level.

Cell lengths 3.3479, 3.3479, 11.2740 Å; angles 90.00, 90.00, 90.00 degrees
With the nearest neighbours (Å) after each atom.
Space group P4mm (No. 99)
Symmetry-distinct sites (fractional):
Ca  0.0000  0.0000  0.0000 (multiplicity 1)  4 Ca 3.35, 4 Ta 3.37
Ca  0.5000  0.5000  0.2897 (multiplicity 1)  4 Ca 3.35
La  0.0000  0.0000  0.5873 (multiplicity 1)  4 Ta 3.27, 4 La 3.35
Ta  0.5000  0.5000  0.7878 (multiplicity 1)  4 La 3.27, 4 Ta 3.35, 4 Ca 3.37

Summary:
Crystal system: tetragonal
ΔE to the lowest computed polymorph: 0 meV per atom
Size of the total moment: 0.000 μB per formula unit
Final energy: -18.95 eV for the cell shown



Record 2
Below is a relaxed CaLa2Ta crystal, with properties calculated at the PBE level.
~~~

Result >
For the density of states at the Fermi level, the calculation gives 3.59 states/eV/f.u. The formation energy is 0.517 eV/atom. As for the energy above the most stable polymorph in this dataset: 0 kJ/mol of formula units. The uncorrected energy is -0.1863 Ry per atom.
For the density of states at the Fermi level, the calculation gives 15.61 states/eV/f.u. The formation energy is -0.161 eV/atom. As for the energy above the most stable polymorph in this dataset: 0 kJ/mol of formula units. The uncorrected energy is -0.1471 Ry per atom.